# Work order
Please print only the lines further down with the word "Cartesian" in them.
# Source
'''
[1]
22
Properties=species:S:1:pos:R:3 method="wB97M-V/def2-TZVPD" homo_lumo_gap_ev=8.340 lumo_ev=0.459 de_lowest_ev=1.230 spin_multiplicity=1 molar_mass_g_mol=177.17
C -0.25091 0.66793 1.19844
C -0.91538 0.68724 -0.11990
N -1.47827 1.93398 -0.47839
C -1.04472 -0.41347 -0.93669
C -0.34194 -1.67110 -0.73414
C 0.84145 -1.97134 -0.17941
C 1.93180 -1.17085 0.18334
C 2.62022 -0.24774 -0.51402
C 3.91307 0.37840 -0.09854
F 4.68801 0.61919 -1.08950
F 3.77793 1.57455 0.57823
F 4.59637 -0.48980 0.69922
H -0.37429 -0.27207 1.72591
H -0.73793 1.36201 1.93503
H 0.69627 1.23402 0.99608
H -0.98904 2.70469 0.04453
H -1.55592 2.14193 -1.48662
H -1.41917 -0.32751 -1.89084
H -1.02454 -2.46951 -1.04617
H 0.86190 -3.04721 -0.00472
H 2.57034 -1.41301 1.01814
H 2.12789 -0.08274 -1.46073

[2]
12
Properties=species:S:1:pos:R:3 method="wB97M-V/def2-TZVPD" homo_lumo_gap_ev=11.005 lumo_ev=0.747 de_lowest_ev=2.679 spin_multiplicity=1 molar_mass_g_mol=95.10 smiles="N#C[C@@H]1C[C@@H]1C=O"
N 0.60606 -1.73579 -1.25404
C 0.24348 -0.63725 -1.34867
C 0.02541 0.68694 -0.77740
C 1.09817 0.80839 0.27712
C -0.29586 0.36030 0.65973
C -1.00375 -1.00101 0.65884
O -1.89856 -1.14267 -0.14056
H -0.43731 1.51036 -1.30883
H 1.93221 0.12166 0.17516
H 1.37219 1.81894 0.56991
H -0.84965 1.06877 1.27147
H -0.74562 -1.80828 1.35677

----------

Computed, not measured: C31H47NO4P2Pm as an isolated structure, with the ωB97M-V functional and the def2-TZVPD basis.

Each line ends with the Löwdin spin population.
Cartesian coordinates (Å):
Pm -0.43358 0.35919 -0.11405  4.062
C -0.70599 -2.29697 0.61227  -0.008
C 0.60547 -2.18063 0.05761  -0.006
C 0.56186 -1.01851 2.05469  -0.007
C -0.72276 -1.61059 1.86010  -0.007
C 1.37460 -1.34870 0.92809  -0.008
C -1.87237 -2.99423 0.00718  0.000
H -1.55056 -3.69916 -0.76976  0.000
H -2.58844 -2.28926 -0.45559  0.000
H -2.43517 -3.55390 0.76523  0.000
C -1.86148 -1.56879 2.80446  -0.001
H -2.54665 -2.40285 2.62651  0.000
H -2.43751 -0.64194 2.67634  0.000
H -1.53672 -1.61660 3.85130  0.000
C 1.03615 -0.31668 3.27510  0.000
H 0.40760 -0.55757 4.14216  0.000
H 1.04446 0.78162 3.17376  0.000
H 2.06736 -0.62281 3.51367  0.000
C 2.80674 -0.97429 0.77206  0.000
H 3.35855 -1.22865 1.68486  0.000
H 2.96740 0.10107 0.59590  0.000
H 3.26043 -1.51817 -0.06107  0.000
C 1.14788 -2.92712 -1.11536  0.000
H 1.87324 -3.69063 -0.79070  0.000
H 1.68892 -2.26640 -1.81083  0.000
H 0.36817 -3.45277 -1.68050  0.000
C -1.85922 1.36024 -5.88256  0.000
C -2.03925 0.02866 -5.82000  0.000
C -1.23477 -0.98253 -6.55819  0.000
C 0.27934 -0.66915 -6.66601  0.000
C 0.89106 -0.01830 -5.46289  0.000
C 1.10599 1.30995 -5.38601  0.000
C 0.51474 2.34407 -6.29886  0.000
C -0.91570 2.06040 -6.82536  0.000
H -1.63277 -1.09129 -7.59105  0.000
H 0.45291 -0.06735 -7.57320  0.000
H -1.36622 -1.97233 -6.08488  0.000
H -0.85242 1.52531 -7.78701  0.000
H -2.53416 2.03195 -5.34564  0.000
H -2.93511 -0.39056 -5.37008  0.000
H -1.35858 3.04343 -7.05007  0.000
H 0.52360 3.32714 -5.79513  0.000
H 1.90062 1.69620 -4.75075  0.000
H 1.16349 2.46474 -7.18581  0.000
H 0.79366 -1.63034 -6.82167  0.000
H 1.34580 -0.70516 -4.75076  0.000
P -1.92717 0.53911 -2.37110  -0.005
P 1.61315 1.68447 -1.62685  -0.006
C -0.94383 1.89177 -3.18389  0.001
C 0.28990 2.61250 -2.58009  0.001
H -1.65938 2.64422 -3.54626  0.000
H -0.60802 1.33252 -4.06233  0.000
H 0.84585 3.05953 -3.41978  0.000
H -0.05401 3.43621 -1.93128  0.000
C 2.45197 3.05497 -0.77109  0.000
H 3.32592 2.66604 -0.23253  0.000
H 1.77043 3.49971 -0.03404  0.000
H 2.77962 3.81834 -1.48670  0.000
C 2.93781 1.00899 -2.67134  -0.002
H 3.38213 1.76416 -3.32961  0.000
H 2.57066 0.17823 -3.28568  0.000
H 3.72806 0.60574 -2.02562  0.000
C -3.63561 0.49098 -2.92464  -0.001
H -4.16858 -0.09815 -2.16721  0.000
H -3.79706 0.02971 -3.90461  0.000
H -4.04723 1.50837 -2.91466  0.000
C -1.07374 -0.98486 -2.99328  0.000
H 0.00874 -1.00736 -2.77874  0.000
H -1.16965 -1.02898 -4.08712  0.000
H -1.51655 -1.89998 -2.57624  0.000
O -0.08048 2.35374 1.16033  -0.004
'''
# Worked solution
Cartesian coordinates (Å):